What is RedIQ used for in Commercial Real Estate?
What is RedIQ used for in Commercial Real Estate?
RedIQ is a specialized platform used in commercial real estate for analyzing and underwriting multifamily real estate transactions. It streamlines the underwriting process by converting raw deal documents into standardized, actionable data, significantly reducing the time from initial data input to full underwriting. This platform is widely used by real estate professionals, including investors, brokers, and lenders, for its efficiency in handling large-scale multifamily transactions.
RedIQ was acquired by Berkadia in 2017 for an undisclosed amount. This turned several major real estate lenders who compete with Berkadia off of the platform, and contributed to the rise of alternatives like Enodo and Clik.ai.
What Does RedIQ do?
Here's a summary of the functionality offered by RedIQ:
┌──
# 1
The following is a DFT calculation (the ωB97M-V functional and the def2-TZVPD basis) of the ion C7H12NO with charge +1 at a distorted geometry.

Its net charge is +1. The calculation puts the energy above the lowest of the compared OMol25 structures with the same formula, charge and spin at 3.113 eV. The spin multiplicity is 1. The calculation puts the orbital gap at 11.639 eV. The calculation puts the HOMO energy at -14.7 eV.

XYZ file:
```
21
Properties=species:S:1:pos:R:3:forces:R:3
C 1.8315 0.8456 2.1256 -0.833 0.102 2.398
C 1.2832 0.7818 1.0694 -0.464 -0.104 -2.894
C 0.7794 0.7326 -0.3790 0.551 -1.010 0.820
C 1.8831 1.1032 -1.3763 0.523 1.020 0.567
N 0.2869 -0.7619 -0.5540 -1.258 -0.066 1.433
C -1.2724 -0.7083 -0.3634 0.415 -0.171 0.353
C -1.6180 -1.8538 0.6608 0.263 2.691 -1.480
C -1.5252 0.7671 0.0110 -0.551 2.726 0.595
O -0.3760 1.4347 -0.5604 -0.319 0.404 -0.803
H 1.8330 0.9173 3.2206 0.770 -0.050 -0.997
H 1.5796 1.0060 -2.4931 0.491 0.325 2.106
H 2.8287 0.5371 -1.1034 -1.220 0.478 -0.609
H 2.1002 2.1783 -1.0107 -0.205 -1.438 -1.335
H 0.6249 -1.3109 0.2668 0.145 0.334 -1.107
H 0.4700 -1.2474 -1.4313 0.514 0.339 0.018
H -1.6630 -0.8523 -1.3839 -0.067 -0.159 0.582
H -0.8283 -1.8204 1.3906 0.420 -0.681 0.330
H -1.7221 -2.7245 0.0478 -0.176 -0.915 0.517
H -2.4733 -1.5177 1.2109 -0.923 -0.449 0.038
H -2.4615 1.3290 -0.4319 1.808 -1.729 0.355
H -1.5609 1.1646 1.0839 0.116 -1.647 -0.887
```
Positions in Å, forces in eV/Å.


# 2
The following is a DFT calculation (the ωB97M-V functional and the def2-TZVPD basis) of the ion C7H12NO2 with charge +1 at a distorted geometry.

Its net charge is +1. The calculation puts the energy above the lowest of the compared OMol25 structures with the same formula, charge and spin at 3.113 eV. The spin multiplicity is 1. The calculation puts the orbital gap at 9.870 eV. The calculation puts the HOMO energy at -14.4 eV.

XYZ file:
```
22
Properties=species:S:1:pos:R:3:forces:R:3
C 0.5839 -2.3841 -0.5582 1.401 1.561 2.075
C 0.1532 -1.0517 -0.1305 -2.661 -0.570 0.457
C -1.0843 -0.4787 0.0889 3.289 -0.816 -0.243
C -2.4996 -0.7917 0.0096 -0.053 0.930 -0.986
O -3.2978 0.1111 -0.0519 -0.398 -0.074 0.503
N -0.5148 0.8681 0.2892 -0.614 0.705 -1.515
C -1.0705 2.0265 -0.5237 -1.520 -0.652 1.055
C 0.9122 0.2031 0.0550 0.941 0.677 -0.048
C 1.8164 0.4538 1.2426 -1.297 -1.878 1.213
O 1.4923 0.6173 -1.0962 2.024 1.422 -0.671
H 1.4545 -2.2855 -1.1536 0.249 -0.286 -1.563
H -0.2506 -2.9269 -0.7587 -2.170 -1.608 -2.123
H 0.9424 -3.0088 0.2318 0.606 0.036 1.362
H -2.7836 -1.8065 -0.2036 -0.127 -0.904 0.230
H -0.5771 1.1482 1.2252 -0.276 0.569 1.946
H -0.9487 1.8681 -1.5424 1.262 -0.513 -1.921
H -2.2302 1.8365 -0.5349 2.111 1.398 1.137
H -0.5274 2.9540 -0.2141 -1.221 -0.668 -0.080
H 2.0134 1.4968 1.1907 0.187 1.051 0.695
H 2.7712 -0.0798 1.2041 -0.281 -0.077 -0.347
H 1.2860 0.0782 2.1828 0.833 0.989 -0.975
H 2.3591 1.1518 -0.9522 -2.287 -1.289 -0.201
```
Positions in Å, forces in eV/Å.


# 3
└──
**Here the page continues:**
- Data Standardization and Analysis: RedIQ's dataIQ system standardizes raw deal documents, converting them into actionable intelligence. This helps users quickly begin underwriting with standardized data, either using RedIQ's proprietary model, valuationIQ, or their own model through an Excel plugin called QuickSync.
- Comprehensive Underwriting Service: RedIQ has been providing underwriting services for multifamily acquisition teams, brokers, and lenders for over ten years. It supports the entire underwriting process, from standardizing financial documents to producing a final valuation.
- Efficient Process: The platform can take a deal from raw files to full underwriting in as little as 30 minutes. It automatically detects financial anomalies in rent rolls and operating statements, which helps in creating more reliable valuations and analyses.
- Leveraging Data for Insights: RedIQ allows users to visualize deals, generate comps from reliable underwriting data sets, and produce powerful, Excel-based underwriting models. It integrates tightly with Excel, making it easier to export data from the platform.
- Lifecycle Management Suite: RedIQ is developing a new suite of offerings to support clients throughout the entire lifecycle of a property, including the hold period. This includes features like Below NOI line items (BNOI) and Proforma vs. Actual (PvsA) analyses.
- Market Presence: RedIQ is used by many leading institutions in the real estate sector. A significant portion of institutional-grade apartment complex transactions in the United States are processed through RedIQ.
RedIQ offers an efficient, and data-driven approach to analyzing multifamily real estate transactions, making it a valuable tool for investors, brokers, and lenders in this space.